• Material:
┌──
No. 1
The following is a DFT calculation (PBE-GGA) of a relaxed structure of Eu2TiNbO6.

extended XYZ file:
```
10
Lattice="0.000 -4.007 -4.007 4.007 0.000 -4.007 4.007 -4.007 0.000" Properties=species:S:1:pos:R:3 pbc="T T T"
Eu 2.004 -2.004 -2.004
Eu 6.011 -6.011 -6.011
Ti 4.007 -4.007 -4.007
Nb 0.000 0.000 0.000
O 2.026 -4.007 -4.007
O 5.989 -4.007 -4.007
O 4.007 -5.989 -4.007
O 4.007 -2.026 -4.007
O 4.007 -4.007 -5.989
O 4.007 -4.007 -2.026
```

Results
total energy after the MP2020 corrections	-101.69	eV per cell

No. 2
The following is a DFT calculation (PBE-GGA) of a relaxed structure of YTh.

extended XYZ file:
```
2
Lattice="1.764 -3.056 0.000 1.764 3.056 0.000 0.000 0.000 5.950" Properties=species:S:1:pos:R:3 pbc="T T T"
Y 0.000 0.000 0.000
Th 1.764 1.019 2.975
```

Results
ΔE to the lowest computed polymorph	0.08	eV per formula unit

No. 3
The following is a DFT calculation (PBE-GGA) of a relaxed structure of PrMgTi2O6.

extended XYZ file:
```
20
Lattice="5.363 0.000 0.000 0.000 5.531 0.000 0.000 0.000 7.701" Properties=species:S:1:pos:R:3 pbc="T T T"
Pr 0.055 3.885 0.000
Pr 2.737 1.645 3.850
Mg 2.586 1.127 0.000
Mg 5.267 4.404 3.850
Ti 0.004 1.352 5.781
Ti 0.004 1.352 1.920
Ti 2.685 4.179 1.930
Ti 2.685 4.179 5.770
O 0.429 1.149 3.850
O 1.161 5.359 6.174
O 1.161 5.359 1.527
O 1.666 2.461 1.477
O 1.666 2.461 6.223
O 1.998 4.022 3.850
O 3.111 4.382 0.000
O 3.842 0.172 5.377
O 3.842 0.172 2.323
O 4.347 3.070 5.328
O 4.347 3.070 2.373
O 4.680 1.508 0.000
```

Results
total energy after the MP2020 corrections	-171.97	eV per cell

No. 4
The following is a DFT calculation (PBE-GGA) of a relaxed structure of VB.

extended XYZ file:
```
4
Lattice="0.574 3.884 -1.748 -2.452 -3.474 -0.624 -2.057 1.125 1.822" Properties=species:S:1:pos:R:3 pbc="T T T"
V -2.519 -2.106 -0.334
V -1.415 3.640 -0.216
B -1.642 0.026 -0.660
B -2.292 1.508 0.110
```

Results
E	-17.5	eV per formula unit

No. 5
The following is a DFT calculation (PBE-GGA) of a relaxed structure of Nd4Bi2S9.

extended XYZ file:
```
60
Lattice="-17.771 -8.902 20.367 2.828 -2.413 1.413 4.150 9.388 7.725" Properties=species:S:1:pos:R:3 pbc="T T T"
Nd -7.802 1.671 21.266
Nd -0.113 3.414 8.854
Nd -2.991 -3.598 8.239
Nd -10.680 -5.340 20.651
Nd -10.795 -0.942 22.795
Nd -1.842 3.661 12.736
Nd 0.002 -0.985 6.710
Nd -8.951 -5.588 16.769
Nd 2.818 5.874 7.189
Nd -5.998 1.583 17.504
Nd -13.611 -7.801 22.316
Nd -4.795 -3.509 12.001
Nd -13.299 -7.070 17.342
Nd -2.961 0.665 9.861
Nd 2.506 5.144 12.163
Nd -7.832 -2.592 19.644
Bi -7.454 -1.555 15.061
Bi -0.054 -0.466 2.111
Bi -3.339 -0.372 14.444
Bi -10.739 -1.461 27.394
Bi -13.568 -3.653 23.716
Bi -3.114 4.346 16.451
Bi 2.775 1.726 5.789
Bi -7.679 -6.273 13.054
S -15.382 -5.837 23.616
S -7.629 -3.950 11.323
S 4.589 3.910 5.889
S -3.164 2.023 18.182
S -10.155 -5.280 14.108
S -0.063 1.901 6.170
S -0.638 3.353 15.397
S -10.730 -3.828 23.335
S -15.894 -8.189 20.626
S -5.762 -0.919 12.761
S 5.101 6.262 8.879
S -5.031 -1.007 16.744
S -4.199 2.137 14.850
S -12.761 -1.583 25.636
S -6.594 -4.063 14.655
S 1.968 -0.344 3.869
S -10.735 -2.397 20.190
S -0.096 6.021 13.271
S -0.058 0.471 9.315
S -10.697 -7.948 16.234
S -13.480 -4.964 21.299
S -5.636 -2.871 9.176
S 2.687 3.038 8.206
S -5.157 0.944 20.329
S -9.273 -2.611 16.899
S -1.709 -1.150 4.255
S -1.520 0.684 12.606
S -9.084 -0.776 25.250
S -11.575 -4.771 17.818
S -2.868 -0.724 7.302
S 0.782 2.844 11.687
S -7.925 -1.202 22.203
S -7.982 0.052 18.862
S 1.443 5.722 9.681
S -2.811 -1.979 10.643
S -12.236 -7.649 19.824
```

Results
total energy after the MP2020 corrections	-362.49	eV per cell

No. 6
The following is a DFT calculation (PBE-GGA) of a relaxed structure of Dy9Sb5O5.

extended XYZ file:
```
38
Lattice="9.875 0.000 0.000 0.000 9.875 0.000 0.000 0.000 8.878" Properties=species:S:1:pos:R:3 pbc="T T T"
Dy 4.938 0.000 5.969
Dy 7.846 1.033 3.034
Dy 2.707 0.816 0.016
Dy 5.753 2.231 0.016
Dy 2.029 8.842 3.034
Dy 5.971 6.966 3.034
Dy 2.909 5.971 5.844
Dy 4.122 7.644 0.016
Dy 2.231 4.122 8.862
└──
• Brief:
Your job: print every line earlier on that contains the word "MP2020".
• Solution:
total energy after the MP2020 corrections	-101.69	eV per cell
total energy after the MP2020 corrections	-171.97	eV per cell
total energy after the MP2020 corrections	-362.49	eV per cell